Could you quote the whole of the calculation results further below verbatim?

Entry 1:
{"formula": "ZrIr2Os", "functional": "PBE", "state": "optimized geometry", "lattice": [[-4.142, -1.154, -2.334], [-1.931, -4.041, 1.968], [1.572, 4.182, 1.999]], "species": ["Os", "Zr", "Ir", "Ir"], "fractional_positions": [[0.750, 0.250, 0.500], [0.250, 0.750, 0.500], [0.500, 0.500, 0.000], [0.000, 0.000, 0.000]], "formation_enthalpy_0k_mev_per_atom": -385}


Entry 2:
{"formula": "Dy2NpPaAs4", "functional": "PBE", "state": "optimized geometry", "lattice": [[4.107, 0.000, 0.000], [0.000, 7.095, 0.115], [0.000, -2.487, 6.692]], "species": ["As", "As", "As", "As", "Np", "Dy", "Dy", "Pa"], "fractional_positions": [[0.500, 0.749, 0.752], [0.000, 0.748, 0.249], [0.500, 0.251, 0.248], [0.000, 0.252, 0.751], [0.000, 0.000, 0.000], [0.000, 0.500, 0.500], [0.500, 0.000, 0.500], [0.500, 0.500, 0.000]], "formation_enthalpy_0k_mev_per_atom": -1205}


Entry 3:
{"formula": "RbTaHg", "functional": "PBE", "state": "optimized geometry", "lattice": [[8.034, 0.000, 0.000], [0.000, 4.761, 0.000], [0.000, 0.000, 9.571]], "species": ["Hg", "Hg", "Hg", "Hg", "Rb", "Rb", "Rb", "Rb", "Ta", "Ta", "Ta", "Ta"], "fractional_positions": [[0.246, 0.750, 0.699], [0.254, 0.250, 0.199], [0.746, 0.750, 0.801], [0.754, 0.250, 0.301], [0.455, 0.750, 0.368], [0.045, 0.250, 0.868], [0.545, 0.250, 0.632], [0.955, 0.750, 0.132], [0.547, 0.250, 0.040], [0.953, 0.750, 0.540], [0.047, 0.250, 0.460], [0.453, 0.750, 0.960]], "formation_enthalpy_0k_mev_per_atom": 755}


Entry 4:
{"formula": "SmHo3Mg4", "functional": "PBE", "state": "optimized geometry", "lattice": [[-3.226, 0.200, 4.285], [-6.048, -0.560, -4.527], [0.394, -10.700, 0.797]], "species": ["Sm", "Sm", "Ho", "Ho", "Ho", "Ho", "Ho", "Ho", "Mg", "Mg", "Mg", "Mg", "Mg", "Mg", "Mg", "Mg"], "fractional_positions": [[0.000, 0.500, 0.000], [0.000, 0.500, 0.500], [0.501, 0.500, 0.750], [0.000, 0.000, 0.000], [0.501, 0.000, 0.750], [0.499, 0.500, 0.250], [0.000, 0.000, 0.500], [0.499, 0.000, 0.250], [0.001, 0.247, 0.750], [0.500, 0.753, 0.000], [0.999, 0.247, 0.250], [0.500, 0.753, 0.500], [0.500, 0.247, 0.500], [0.500, 0.247, 0.000], [0.001, 0.753, 0.750], [0.999, 0.753, 0.250]], "formation_enthalpy_0k_mev_per_atom": -81}


Entry 5:
{"formula": "CdHg", "functional": "PBE", "state": "optimized geometry", "lattice": [[5.794, 0.000, 0.000], [0.000, 5.794, 0.000], [0.000, 0.000, 5.794]], "species": ["Cd", "Cd", "Cd", "Cd", "Hg", "Hg", "Hg", "Hg"], "fractional_positions": [[0.599, 0.901, 0.099], [0.099, 0.599, 0.901], [0.401, 0.401, 0.401], [0.901, 0.099, 0.599], [0.406, 0.906, 0.594], [0.906, 0.594, 0.406], [0.094, 0.094, 0.094], [0.594, 0.406, 0.906]], "formation_enthalpy_0k_mev_per_atom": 33}


| no. | DOS at the Fermi energy (states/eV/f.u.) |
| --- | --- |
| 1 | 3.59 |
| 2 | 11.88 |
| 3 | 2.76 |
| 4 | 9.93 |
| 5 | 0.44 |

Entry 1:
{"formula": "ZrIr2Os", "functional": "PBE", "state": "optimized geometry", "lattice": [[-4.142, -1.154, -2.334], [-1.931, -4.041, 1.968], [1.572, 4.182, 1.999]], "species": ["Os", "Zr", "Ir", "Ir"], "fractional_positions": [[0.750, 0.250, 0.500], [0.250, 0.750, 0.500], [0.500, 0.500, 0.000], [0.000, 0.000, 0.000]], "formation_enthalpy_0k_mev_per_atom": -385}


Entry 2:
{"formula": "Dy2NpPaAs4", "functional": "PBE", "state": "optimized geometry", "lattice": [[4.107, 0.000, 0.000], [0.000, 7.095, 0.115], [0.000, -2.487, 6.692]], "species": ["As", "As", "As", "As", "Np", "Dy", "Dy", "Pa"], "fractional_positions": [[0.500, 0.749, 0.752], [0.000, 0.748, 0.249], [0.500, 0.251, 0.248], [0.000, 0.252, 0.751], [0.000, 0.000, 0.000], [0.000, 0.500, 0.500], [0.500, 0.000, 0.500], [0.500, 0.500, 0.000]], "formation_enthalpy_0k_mev_per_atom": -1205}


Entry 3:
{"formula": "RbTaHg", "functional": "PBE", "state": "optimized geometry", "lattice": [[8.034, 0.000, 0.000], [0.000, 4.761, 0.000], [0.000, 0.000, 9.571]], "species": ["Hg", "Hg", "Hg", "Hg", "Rb", "Rb", "Rb", "Rb", "Ta", "Ta", "Ta", "Ta"], "fractional_positions": [[0.246, 0.750, 0.699], [0.254, 0.250, 0.199], [0.746, 0.750, 0.801], [0.754, 0.250, 0.301], [0.455, 0.750, 0.368], [0.045, 0.250, 0.868], [0.545, 0.250, 0.632], [0.955, 0.750, 0.132], [0.547, 0.250, 0.040], [0.953, 0.750, 0.540], [0.047, 0.250, 0.460], [0.453, 0.750, 0.960]], "formation_enthalpy_0k_mev_per_atom": 755}


Entry 4:
{"formula": "SmHo3Mg4", "functional": "PBE", "state": "optimized geometry", "lattice": [[-3.226, 0.200, 4.285], [-6.048, -0.560, -4.527], [0.394, -10.700, 0.797]], "species": ["Sm", "Sm", "Ho", "Ho", "Ho", "Ho", "Ho", "Ho", "Mg", "Mg", "Mg", "Mg", "Mg", "Mg", "Mg", "Mg"], "fractional_positions": [[0.000, 0.500, 0.000], [0.000, 0.500, 0.500], [0.501, 0.500, 0.750], [0.000, 0.000, 0.000], [0.501, 0.000, 0.750], [0.499, 0.500, 0.250], [0.000, 0.000, 0.500], [0.499, 0.000, 0.250], [0.001, 0.247, 0.750], [0.500, 0.753, 0.000], [0.999, 0.247, 0.250], [0.500, 0.753, 0.500], [0.500, 0.247, 0.500], [0.500, 0.247, 0.000], [0.001, 0.753, 0.750], [0.999, 0.753, 0.250]], "formation_enthalpy_0k_mev_per_atom": -81}


Entry 5:
{"formula": "CdHg", "functional": "PBE", "state": "optimized geometry", "lattice": [[5.794, 0.000, 0.000], [0.000, 5.794, 0.000], [0.000, 0.000, 5.794]], "species": ["Cd", "Cd", "Cd", "Cd", "Hg", "Hg", "Hg", "Hg"], "fractional_positions": [[0.599, 0.901, 0.099], [0.099, 0.599, 0.901], [0.401, 0.401, 0.401], [0.901, 0.099, 0.599], [0.406, 0.906, 0.594], [0.906, 0.594, 0.406], [0.094, 0.094, 0.094], [0.594, 0.406, 0.906]], "formation_enthalpy_0k_mev_per_atom": 33}


| no. | DOS at the Fermi energy (states/eV/f.u.) |
| --- | --- |
| 1 | 3.59 |
| 2 | 11.88 |
| 3 | 2.76 |
| 4 | 9.93 |
| 5 | 0.44 |